
Tuesday 30 March 2021

Book Notes - Momentum Masters

This is a great book for traders and investors alike. @hitesh2710 suggested I read the book sometime back. Unlike a lot of other books, this one is packed with practical advice from successful practitioners. Because it is written in a Q&A style, it is very easy to read and brings together the answers of all the 4 participants together so that you can understand the similarities and differences in their individual approaches.

Below are my notes & highlights from the book. They are a bit exhaustive and hence a bit lengthy.

== Unrelated to this text: data records ==
=====
The following is a DFT calculation (ωB97M-V with the def2-TZVPD basis set) of a cluster of 14 separate species, C81H94Cl9N5O12 in total in a non-equilibrium geometry.

Output
Total charge ... 0
Lowest unoccupied orbital energy ... -1.848 eV
Frontier orbital gap ... 2.576 eV

CARTESIAN COORDINATES (ANGSTROEM)
C  5.53845  -0.41388  0.60973
N  4.07339  -0.31038  0.55880
C  3.34222  -1.14793  -0.23740
C  2.00430  -0.82536  -0.47697
C  1.37367  0.18866  0.21528
C  2.16944  1.03223  0.95849
C  3.49029  0.73475  1.16633
C  -0.08286  0.35851  0.15562
C  -0.97523  -0.71144  0.37504
C  -2.34071  -0.47747  0.39600
N  -2.79780  0.76094  0.08409
C  -1.98492  1.79477  -0.08878
C  -0.61304  1.62091  -0.03726
C  -4.26909  0.92427  -0.03162
H  5.88905  -1.41856  0.84337
H  5.92330  0.29649  1.34093
H  5.95013  -0.02160  -0.32120
H  3.93230  -1.93885  -0.67886
H  1.40425  -1.40585  -1.16447
H  1.78448  1.96374  1.35261
H  4.06347  1.39549  1.80446
H  -0.58285  -1.71570  0.57492
H  -3.02110  -1.27922  0.62057
H  -2.44051  2.71120  -0.43636
H  -0.00217  2.48619  -0.25414
H  -4.37812  1.60845  -0.87289
H  -4.60035  1.40601  0.88679
H  -4.77900  -0.01349  -0.22830
C  -0.24199  -6.07176  7.65098
C  -0.05587  -5.70114  6.16627
C  -0.42386  -4.22907  5.89459
C  0.31017  -3.62403  4.69615
N  0.09361  -2.13309  4.48084
C  1.12366  -1.62187  3.47686
C  1.22258  -0.09312  3.78650
C  0.70748  0.09931  5.20799
C  0.38591  -1.29048  5.71398
C  -1.25941  -1.89963  3.87874
H  0.40033  -6.94711  7.76532
H  -1.26157  -6.28760  7.96528
H  0.14612  -5.33491  8.35666
H  -0.58317  -6.44525  5.57256
H  1.00699  -5.74005  5.91693
H  -0.15475  -3.68469  6.80222
H  -1.51061  -4.11283  5.81603
H  0.12755  -4.12478  3.74644
H  1.36355  -3.59775  4.97829
H  0.81489  -1.69650  2.43866
H  2.08852  -2.02881  3.76772
H  0.54772  0.45189  3.12252
H  2.25054  0.23620  3.65445
H  -0.16520  0.75123  5.25791
H  1.50331  0.55422  5.79858
H  -0.52476  -1.41996  6.29406
H  1.31939  -1.74061  6.05202
H  -2.00906  -2.30249  4.55561
H  -1.28682  -2.39460  2.91060
H  -1.39713  -0.82512  3.76623
C  -0.11146  -4.37860  0.04749
O  0.65209  -3.67215  0.92306
H  -0.27739  -5.44804  0.27611
H  -1.09426  -3.89020  -0.17344
H  0.30859  -4.43989  -0.98933
C  5.39395  -4.57142  0.20308
O  4.83559  -4.01044  1.32798
H  6.36813  -5.07117  0.37325
H  4.72095  -5.33572  -0.22409
H  5.66255  -3.82648  -0.58285
Cl  4.96635  1.01092  5.00815
O  4.15075  1.32150  6.15451
O  4.49252  -0.22833  4.43346
O  4.92053  2.03883  3.98182
O  6.32853  0.85604  5.42684
Cl  2.89295  2.51717  -1.75301
C  4.51435  2.45258  -2.45056
C  5.37064  3.57198  -1.88698
Cl  5.60162  3.37308  -0.15869
H  4.41817  2.56699  -3.52827
H  4.92697  1.48163  -2.18904
H  5.01679  4.59555  -1.98600
H  6.39011  3.53469  -2.27257
Cl  -4.33256  -2.73498  2.67019
C  -5.11473  -2.81152  4.29692
C  -6.40313  -3.57624  4.06312
Cl  -7.45912  -3.36831  5.52748
H  -5.33409  -1.79066  4.59572
H  -4.43306  -3.30645  4.98220
H  -6.21762  -4.63948  3.96426
=====

  • The first thing I do is look at earnings released and news items that may affect my holdings, and I also look at premarket futures to get an idea of how the market will open. I then review all my current holdings and update my stops and set alerts; I set audio alerts on my buy candidates at price levels near my target purchase price and also at levels near my sell stops.
  • Everything I do is thought out; I don’t like surprises, so I try to work out as much as possible in advance so I don’t get blindsided and caught off guard. I do this work outside of market hours to remove emotion.
  • I usually don’t do much in the first 45 minutes of trading because there are many false moves and reactions to overnight news.
  • I know what and where I’m going to buy before the market opens, so there are no surprises, and I just act without thinking. I start in the morning by checking all my open positions. 
  • Everything I need to know is based on the stock’s price behavior and volume; the rest is pure noise.
  • If a market is going to move, then big funds and institutions are going to drive it. The bigger players have to buy and sell often during days or even weeks. Individual traders have a significant advantage over the big traders, because individual traders can move in and out of positions much faster. So they can change direction very quickly when market conditions change, and to me, that’s a tremendous edge.
  • The big money is made in the longer-term moves.
  • Bottom line, if you hone your timing and talent to spot the setups and if you have the fortitude to stick to the rules, it doesn’t matter if you start out small; you have a true edge that few traders possess, especially if you do your homework every night and on weekends.
  • You shouldn’t be afraid of thinly traded stocks; you should embrace them. Some of the biggest winners are small companies that you’ve never heard of before. But you have to be careful and only trade a position size you can get out of safely. A small position is better than no position, especially if the stock has the potential to skyrocket.
  • All the biggest-moving stocks I’ve owned during the past 20 years, where I’ve made 95% of my money, were ones hitting new highs from very solid bases.
  • The best time to buy the large-cap names is coming out of a bear market or a deep correction. With small caps, I tend to trade them close to new highs because they’re less efficiently priced, so I don’t have to “beat the crowd” and try to buy lower.
  • By definition, if a stock is covered by many analysts and watched by thousands of traders, then it has a far less probability of being inefficiently priced and thus yielding a quick alpha move. It doesn’t mean the stocks shouldn’t be traded or purchased at certain times; but in general, if you’re looking for alpha, you should be discounting the larger capitalization.
  • It is rare when you have a market where you can have both longs and shorts. In a market that is trending in one direction, that’s the side you should be leaning toward. Markets moving sideways can be very tough to trade both ways.
  • Even though my intuitive feel is pretty good, I have learned not to trust my opinion, because it will eventually be wrong. If you have a strong conviction on a trade, it will be difficult to trust the market and divorce your idea.
  • I will only add to positions that are moving higher and performing well. Positions only become bigger with appreciation and follow on purchases after new bases are formed.
  • The overall market must be showing strength with higher highs and a significant portion of those market stocks marching into new highs as well. Many strong bases on the charts, as well as strong expanding earnings on a high number of those stocks, are critical indicators of the overall health of the market and ultimately my portfolio.
  • The only way to consistently outperform is to be concentrated in the names that are outperforming.
  • There should be a period of a week or more of very quiet and very tight price action before a stock makes a move. 
  • Many of the best trades occur when you have fundamentals, technicals, and a bullish general market all in your favor. So I try to focus on companies that have solid fundamental and technical characteristics during a healthy market environment. However, life is not perfect. Stocks that set up well technically, in a manner I refer to as “unexplained strength,” are often good riskreward plays because they are less obvious and not as likely to be “crowded.”
  • So, yes, I will trade stocks with a lack of apparent fundamentals when the chart is really strong. Most of the time when I ignore surface fundamentals, the stock is in a very high-momentum situation, and the chart is saying that something really big is definitely going on.
  • I define an uptrend as a stock with its 50-day moving average above its 200-day moving average and both are trending higher. Even stronger uptrends can be defined as the 20-day moving average above the 50-day, and the 50-day is above the 200-day moving average. 
  • The most important indicator is the overall market trending up with higher highs and higher lows, and the same goes for the stocks that I look to buy. Next would be a well-defined base and then the strength of the group.
  • A breakout is a stock emerging out of a base or sideways consolidation. I like a base to be at least four weeks or longer. As the stock breaks out, the volume should be larger than average. The volume should increase at least 25% or more. The best moves start with very big increases in volume of 100% or more.
  • You want a stock to rise on higher volume and pull back on lower volume because the buying and selling by institutions is what moves stocks in the market, and the institutions can’t hide the fact that they have to buy in size. The most important area to concentrate on is what volume is doing at key points like breakouts to new highs, breakdowns from bases, and even when a stock undercuts a previous low.
  • I want both the fundamentals and the technical characteristics of the stock to be in an uptrend. I have much more confidence in holding a stock that has good fundamentals than if I’m buying based solely on a good chart. There are so many stocks to choose from, why not go with the one that has the best characteristics.
  • I am usually more successful if I spend a number of hours researching the fundamentals, listening to conference calls, investigating the company’s website to really get to know where the company has been and its future plans.
  • You want to watch the general market but not to the point that you sell all your stocks when your indicators flash a downtrend.
  • I think most traders would do much better if they completely ignored the “market” or the major indexes and just focused on the stocks themselves.
  • Stock trading is about anticipating coming movements and then waiting to be proved right or wrong. Even if I turn bearish on the market while I’m holding longs, I will usually let the stocks stop me out. I don’t usually sell everything on my “opinion” of the market. I simply tighten my stops and let the price action take me out of the positions one by one. Very often a handful of my stocks will hold their stops, and I’ll even get through a market pullback still holding names I had before the correction began.
  • If things are working, I get more aggressive. When my stock trades are not working well, I cut back my exposure and the number of commitments. This is a very simple method but very effective. If you scale up when trades are working and scale back when things are not working well, you ensure that you will be trading your largest when trading your best and trading your smallest when trading your worst.
  • In a year, you really only need one or two really good stocks to have great performance, but you must handle them right. You must add to a stock after it has built a new base following its first move up. You can add to it again on subsequent bases. On a longer move, you can build the size of the position into 20–25% of your portfolio. A position of that size should only be achieved through price appreciation and by adding more on subsequent bases.
  • The problem about setting price targets is that the best stocks usually end up going a lot further than anyone expects.
  • I don’t usually make all-or-nothing decisions, especially on winning positions, but instead I scale in and out of them. If something has had a big move and is extended and looks like it is starting to pull back, I might sell a portion of the position, but I never want to lose a position in a stock that looks like a leader. Once you sell out the entire position, sometimes you can miss the next move higher.
  • During the beginning stages of a new bull market is the best time to hold, and in the late stages of a bull market—usually after several years—is the best time to trade shorter-term
  • During the beginning stages of a new bull market is the best time to hold, and in the late stages of a bull market—usually after several years—is the best time to trade shorter-term moves and sell into strength.
  • I also had to learn to practice patience. The fear of missing out is a strong emotion when trading. It is the root of many trading failures. I have two main rules: (1) no forced trades. (2) no big losses. You must develop “sit-out power,” the ability to wait for correct setups and not force action and take subpar trades.
  • Minervini: 
    1. Think risk first. Always trade with a stop loss and know where you’re getting out before you get in. 
    2. Keep losses small and protect your breakeven point once you attain a decent profit. 
    3. Never risk more than you expect to gain. 
    4. Never average down. 
    5. Know the truth about your trading—study your results regularly.
  • Ryan: 
    1. Cut your losses and keep them small. 
    2. Be extremely disciplined. 
    3. Trade smaller if you have a number of losses in a row. 
    4. Never let a good gain turn into a loss. 
    5. Move money from your losers to your winners.
  • Zanger:
    1. Never let a stock get below what you paid for it. 
    2. Never chase a stock that is up more than 3–5% above its pivot or breakout area. 
    3. Avoid options. 
    4. Reduce position size after a good move up. 
    5. Hang on to those winners and let go of the laggards.
  • Ritchie II: 
    1. Always trade with a plan, specifically one that evaluates risk in every possible way for an individual position as well as your entire portfolio. 
    2. Always reduce trading size after a big loss or losing period. 
    3. Shift capital to ideas and strategies that are working and reduce it from ones that aren’t. 
    4. Guard your emotions with equal value to the way you guard your capital. 
    5. Bring your “A” game every day.